_Given_
........
Here is crystalline Tl2IrW at its relaxed geometry from the Alexandria database. Energies are from PBE-GGA.

```
Tl2IrW
1.0
3.000 0.000 0.000
0.000 3.000 0.000
0.000 0.000 8.454
Tl Ir W
2 1 1
Direct
0.000 0.000 0.235
0.000 0.000 0.765
0.500 0.500 0.000
0.500 0.500 0.500
```

Output
- DFT formation energy: 995 meV/atom
- Excess energy over the best structure of this formula in the dataset: 621.4 meV/atom
- Spin magnetization: 0.0 μB/cell
- Space-group type: P4/mmm, No. 123

* * * * *

(1)
This record from Alexandria describes a geometry-optimized SrMg2Rh2 structure. The functional is PBEsol.

Cell: 4.322 4.322 11.061 Å, 90.00 90.00 90.00°
Space group I4/mmm (No. 139)
One atom of each set of equivalent atoms:
Sr 0.000 0.000 0.000 [2 per cell]
Mg 0.000 0.500 0.250 [4 per cell]
Rh 0.000 0.000 0.388 [4 per cell]

Results
Total magnetic moment = 0.000 μB per formula unit
E above lowest polymorph = 0.0215 eV/atom
Energy of formation = -0.23 eV/atom

=====

(2)
This record from Alexandria describes a geometry-optimized ZrTl2CuHg structure. The functional is PBEsol.

Cell: 5.322 5.322 5.429 Å, 90.00 90.00 90.00°
Space group P4/mmm (No. 123)
One atom of each set of equivalent atoms:
Zr 0.000 0.000 0.000 [1 per cell]
Tl 0.000 0.500 0.500 [2 per cell]
Cu 0.500 0.500 0.000 [1 per cell]
Hg 0.000 0.000 0.500 [1 per cell]

Results
Total magnetic moment = 0.004 μB per formula unit
Energy of formation = 1.18 eV/atom

=====

(3)
This record from Alexandria describes a geometry-optimized Ba5Sb4 structure. The functional is PBEsol.

Cell: 8.994 17.652 9.036 Å, 90.00 90.00 90.00°
Space group Pnma (No. 62)
One atom of each set of equivalent atoms:
Ba 0.071 0.103 0.169 [8 per cell]
Ba 0.089 0.606 0.337 [8 per cell]
Ba 0.243 0.250 0.502 [4 per cell]
Sb 0.128 0.250 0.891 [4 per cell]
Sb 0.144 0.750 0.618 [4 per cell]
Sb 0.245 0.051 0.506 [8 per cell]

Results
Total magnetic moment = 0.000 μB per formula unit
Raw formation energy = -1054 meV per atom

=====

(4)
This record from Alexandria describes a geometry-optimized InCoAg2 structure. The functional is PBEsol.

Cell: 2.974 4.512 9.533 Å, 90.00 90.00 90.00°
Space group Immm (No. 71)
One atom of each set of equivalent atoms:
In 0.000 0.000 0.000 [2 per cell]
Co 0.000 0.000 0.500 [2 per cell]
Ag 0.000 0.500 0.230 [4 per cell]

Results
Total magnetic moment = 0.996 μB per formula unit
Energy of formation = 0.19 eV/atom

=====

(5)
This record from Alexandria describes a geometry-optimized K2CdRe structure. The functional is PBEsol.

Cell: 2.9813 2.9813 36.9146 Å, 90.00 90.00 120.00°
Space group R3m (No. 160, hexagonal axes)
One atom of each set of equivalent atoms:
K 0.0000 0.0000 0.0000 [3 per cell]
K 0.0000 0.0000 0.2231 [3 per cell]
Cd 0.0000 0.0000 0.7494 [3 per cell]
Re 0.0000 0.0000 0.4800 [3 per cell]

Results
Total magnetic moment = 0.000 μB per formula unit
Energy of formation = 1.09 eV/atom

=====

(6)
This record from Alexandria describes a geometry-optimized CrOsCl structure. The functional is PBEsol.

Cell: 2.911 4.886 12.980 Å, 90.00 90.00 90.00°
Space group Fmm2 (No. 42)
One atom of each set of equivalent atoms:
Cr 0.000 0.000 0.000 [4 per cell]
Os 0.000 0.000 0.355 [4 per cell]
Cl 0.000 0.000 0.641 [4 per cell]

Results
Total magnetic moment = 2.205 μB per formula unit
E above lowest polymorph = 0.0000 eV/atom
Raw formation energy = 543 meV per atom

=====

(7)
This record from Alexandria describes a geometry-optimized KSe3 structure. The functional is PBEsol.

Cell: 3.752 7.618 8.953 Å, 90.00 90.00 90.00°
Space group Imm2 (No. 44)
One atom of each set of equivalent atoms:
K 0.000 0.000 0.000 [2 per cell]
Se 0.000 0.252 0.291 [4 per cell]
Se 0.000 0.500 0.144 [2 per cell]

Results
........

_Job_
Your job: repeat everything further above without additions.

_Completed_
Here is crystalline Tl2IrW at its relaxed geometry from the Alexandria database. Energies are from PBE-GGA.

```
Tl2IrW
1.0
3.000 0.000 0.000
0.000 3.000 0.000
0.000 0.000 8.454
Tl Ir W
2 1 1
Direct
0.000 0.000 0.235
0.000 0.000 0.765
0.500 0.500 0.000
0.500 0.500 0.500
```

Output
- DFT formation energy: 995 meV/atom
- Excess energy over the best structure of this formula in the dataset: 621.4 meV/atom
- Spin magnetization: 0.0 μB/cell
- Space-group type: P4/mmm, No. 123

* * * * *

(1)
This record from Alexandria describes a geometry-optimized SrMg2Rh2 structure. The functional is PBEsol.

Cell: 4.322 4.322 11.061 Å, 90.00 90.00 90.00°
Space group I4/mmm (No. 139)
One atom of each set of equivalent atoms:
Sr 0.000 0.000 0.000 [2 per cell]
Mg 0.000 0.500 0.250 [4 per cell]
Rh 0.000 0.000 0.388 [4 per cell]

Results
Total magnetic moment = 0.000 μB per formula unit
E above lowest polymorph = 0.0215 eV/atom
Energy of formation = -0.23 eV/atom

=====

(2)
This record from Alexandria describes a geometry-optimized ZrTl2CuHg structure. The functional is PBEsol.

Cell: 5.322 5.322 5.429 Å, 90.00 90.00 90.00°
Space group P4/mmm (No. 123)
One atom of each set of equivalent atoms:
Zr 0.000 0.000 0.000 [1 per cell]
Tl 0.000 0.500 0.500 [2 per cell]
Cu 0.500 0.500 0.000 [1 per cell]
Hg 0.000 0.000 0.500 [1 per cell]

Results
Total magnetic moment = 0.004 μB per formula unit
Energy of formation = 1.18 eV/atom

=====

(3)
This record from Alexandria describes a geometry-optimized Ba5Sb4 structure. The functional is PBEsol.

Cell: 8.994 17.652 9.036 Å, 90.00 90.00 90.00°
Space group Pnma (No. 62)
One atom of each set of equivalent atoms:
Ba 0.071 0.103 0.169 [8 per cell]
Ba 0.089 0.606 0.337 [8 per cell]
Ba 0.243 0.250 0.502 [4 per cell]
Sb 0.128 0.250 0.891 [4 per cell]
Sb 0.144 0.750 0.618 [4 per cell]
Sb 0.245 0.051 0.506 [8 per cell]

Results
Total magnetic moment = 0.000 μB per formula unit
Raw formation energy = -1054 meV per atom

=====

(4)
This record from Alexandria describes a geometry-optimized InCoAg2 structure. The functional is PBEsol.

Cell: 2.974 4.512 9.533 Å, 90.00 90.00 90.00°
Space group Immm (No. 71)
One atom of each set of equivalent atoms:
In 0.000 0.000 0.000 [2 per cell]
Co 0.000 0.000 0.500 [2 per cell]
Ag 0.000 0.500 0.230 [4 per cell]

Results
Total magnetic moment = 0.996 μB per formula unit
Energy of formation = 0.19 eV/atom

=====

(5)
This record from Alexandria describes a geometry-optimized K2CdRe structure. The functional is PBEsol.

Cell: 2.9813 2.9813 36.9146 Å, 90.00 90.00 120.00°
Space group R3m (No. 160, hexagonal axes)
One atom of each set of equivalent atoms:
K 0.0000 0.0000 0.0000 [3 per cell]
K 0.0000 0.0000 0.2231 [3 per cell]
Cd 0.0000 0.0000 0.7494 [3 per cell]
Re 0.0000 0.0000 0.4800 [3 per cell]

Results
Total magnetic moment = 0.000 μB per formula unit
Energy of formation = 1.09 eV/atom

=====

(6)
This record from Alexandria describes a geometry-optimized CrOsCl structure. The functional is PBEsol.

Cell: 2.911 4.886 12.980 Å, 90.00 90.00 90.00°
Space group Fmm2 (No. 42)
One atom of each set of equivalent atoms:
Cr 0.000 0.000 0.000 [4 per cell]
Os 0.000 0.000 0.355 [4 per cell]
Cl 0.000 0.000 0.641 [4 per cell]

Results
Total magnetic moment = 2.205 μB per formula unit
E above lowest polymorph = 0.0000 eV/atom
Raw formation energy = 543 meV per atom

=====

(7)
This record from Alexandria describes a geometry-optimized KSe3 structure. The functional is PBEsol.

Cell: 3.752 7.618 8.953 Å, 90.00 90.00 90.00°
Space group Imm2 (No. 44)
One atom of each set of equivalent atoms:
K 0.000 0.000 0.000 [2 per cell]
Se 0.000 0.252 0.291 [4 per cell]
Se 0.000 0.500 0.144 [2 per cell]

Results